The Holy and Apostolic Father Abba Athanasius

Abba Athanasius was the son of heretical and pagan parents.One day he saw Christian’s children performing the Ordinances of the Church as they were playing together.some were priests, some deacons and one of them they made archbishop.Athanasius asked the Christian children to let him join them in the game they were playing, but they stopped him and said to him, You are a pagan and you would not be amongst us.”Then He said to them,“I will become a Christian.”so, they rejoiced and placed a seat like a throne under him and began to bow down before him…

== Next to the article, the page also holds quantum chemistry results ==
Entry i
C24H34N2O3 | ωB97M-V with the def2-TZVPD basis set

## Properties
SMILES   COCc1cc(CN2CCN(CCc3ccccc3)[C@H](CCO)C2)ccc1OC
Lowest unoccupied orbital energy   0.76 eV
Highest occupied orbital energy   -7.820 eV

Geometry (Å):
1 C -2.2384 -3.0032 -1.7351
2 O -2.2875 -2.7001 -0.3615
3 C -3.4944 -2.0921 0.0444
4 C -3.5800 -0.6196 -0.2794
5 C -2.4618 0.0957 -0.6548
6 C -2.5127 1.4642 -0.8926
7 C -1.2561 2.1993 -1.2770
8 N -0.0951 1.6262 -0.6212
9 C 1.1580 2.1103 -1.1631
10 C 2.3254 1.3592 -0.5190
11 N 2.2443 1.5044 0.9147
12 C 3.4556 1.3914 1.6754
13 C 4.1736 0.0200 1.7752
14 C 4.6572 -0.4976 0.4531
15 C 4.1515 -1.6700 -0.0947
16 C 4.5963 -2.1288 -1.3220
17 C 5.5589 -1.4225 -2.0218
18 C 6.0820 -0.2608 -1.4795
19 C 5.6374 0.1936 -0.2519
20 C 0.9996 1.0088 1.4647
21 C 0.7291 -0.4940 1.2565
22 C -0.3347 -1.0413 2.2112
23 O -0.5599 -2.4174 2.0314
24 C -0.1158 1.8384 0.8138
25 C -3.7303 2.1077 -0.7636
26 C -4.8732 1.4058 -0.4087
27 C -4.8105 0.0426 -0.1571
28 O -5.8719 -0.7339 0.2164
29 C -7.1315 -0.1237 0.3569
30 H -2.3669 -2.1084 -2.3530
31 H -3.0143 -3.7308 -2.0017
32 H -1.2576 -3.4373 -1.9210
33 H -3.5405 -2.2224 1.1314
34 H -4.3572 -2.6151 -0.3906
35 H -1.5145 -0.4091 -0.7473
36 H -1.3711 3.2763 -1.0545
37 H -1.1059 2.1014 -2.3589
38 H 1.2828 3.1932 -0.9779
39 H 1.1680 1.9394 -2.2428
40 H 2.3018 0.3090 -0.8445
41 H 3.2664 1.7949 -0.8628
42 H 3.2241 1.7167 2.6950
43 H 4.1630 2.1110 1.2485
44 H 3.5167 -0.7084 2.2506
45 H 5.0331 0.1698 2.4349
46 H 3.4037 -2.2356 0.4434
47 H 4.1905 -3.0424 -1.7321
48 H 5.9057 -1.7789 -2.9806
49 H 6.8430 0.2900 -2.0136
50 H 6.0608 1.0947 0.1697
51 H 1.0125 1.2205 2.5408
52 H 0.4081 -0.6548 0.2270
53 H 1.6445 -1.0616 1.4148
54 H 0.0036 -0.9306 3.2465
55 H -1.2731 -0.4812 2.0954
56 H -0.9817 -2.5557 1.1698
57 H 0.0431 2.9036 1.0611
58 H -1.0893 1.5363 1.2011
59 H -3.8008 3.1717 -0.9385
60 H -5.8057 1.9405 -0.3206
61 H -7.8117 -0.9204 0.6543
62 H -7.1199 0.6490 1.1322
63 H -7.4761 0.3125 -0.5864

How is the electron density shared among the atoms? According to Mulliken, the charges in e are:
1 C -0.851
2 O -0.353
3 C -0.783
4 C 0.764
5 C 0.622
6 C -0.080
7 C -1.416
8 N 0.556
9 C -1.229
10 C -0.368
11 N 0.156
12 C -1.107
13 C -1.126
14 C 0.615
15 C -0.215
16 C -0.761
17 C -0.401
18 C -0.726
19 C -0.137
20 C -0.367
21 C 0.635
22 C -0.954
23 O -0.600
24 C -1.572
25 C -1.484
26 C -0.699
27 C 0.783
28 O -0.441
29 C -0.979
30 H 0.352
31 H 0.295
32 H 0.272
33 H 0.264
34 H 0.467
35 H 0.477
36 H 0.357
37 H 0.387
38 H 0.360
39 H 0.410
40 H 0.123
41 H 0.602
42 H 0.430
43 H 0.538
44 H 0.442
45 H 0.445
46 H 0.378
47 H 0.400
48 H 0.395
49 H 0.387
50 H 0.384
51 H 0.552
52 H 0.052
53 H -0.104
54 H 0.390
55 H 0.309
56 H 0.422
57 H 0.401
58 H 0.512
59 H 0.420
60 H 0.411
61 H 0.259
62 H 0.362
63 H 0.364

Entry ii
C24H34N2O3 | ωB97M-V with the def2-TZVPD basis set

## Properties
SMILES   CCOc1cc(CN2CCN(CCc3ccccc3)[C@H](CCO)C2)ccc1OC
Lowest unoccupied orbital energy   0.80 eV
Highest occupied orbital energy   -7.910 eV

Geometry (Å):

The Birth Day of Saint Mary

Our Holy Mother, the pure two-fold Virgin Saint Mary, the God-bearer through whom became the salvation of the human race was born on May 9.  

Miskaye Hizunan Medehanialem Monastery

It was named as “Meskaye Hizunan Medhanialem Monastery” and erected on May 5, 1943 at the former Bethsaida Haile Selassie I Hospital (now known as Yekatit 12).

Feast of Conception

The festival of the Annunciation which was made to our Holy Mother Virgin Mary, by the honorable Angel Gabriel is celebrated in our Holy Church on April 7.

Commemorating the Crucifixion of Lord Jesus Christ

The Redeemer Our Lord and Savior Jesus Christ was crucified on April 5 to whom is praised in amongst all Christians for He gave His life for our salvation. He suffered much to cleanse our soul and sacrificed himself upon the cross willingly for saving mankind.

The Elevation of The Holy Cross

The day the glorious Cross of our Lord Jesus Christ to Whom be praise, appeared twice; the first time through the Empress Helena, the mother of Constantine, the righteous emperor occurred on March 19.

The Departure of Abune Gebre Menfes Qidus

Our Righteous father Abune Gebre Menfes Qidus lived 100 years in solitude in Lake Ziquala, praying for Ethiopia. He also lived in the desert escorted by 60 lions and 60 tigers that served him. The saint lived 300 years in Egypt and 262 in Ethiopia with a total life span of 562 years on earth and died on March 14.

The Covenant of Mercy

Our Holy Lady Mary, the two-fold Virgin, the God- bearer, for on it He gave her the Covenant of Mercy and she received it from her Son, our Redeemer Jesus Christ, in respect of him that should celebrate her commemoration, or should call upon her name, or give alms to the poor, even if it were only [a cup of] cold water on February 23.

Soldiers of God

### Quantum chemistry results, kept here for reference
{"formula": "C8H13ClO4Pd", "method": "the ωB97M-V functional and the def2-TZVPD basis", "orbital_gap_ev": [6.52, 8.10], "homo_ev": [-6.54, -10.20], "relative_energy_kj_mol": 273.2, "e_tot_ev": -32684.9791, "spin_multiplicity": 3, "symbols": ["C", "C", "C", "H", "C", "H", "H", "H", "C", "H", "H", "C", "H", "H", "C", "H", "H", "C", "H", "H", "Pd", "H", "O", "Cl", "O", "O", "O"], "positions_angstrom": [[0.52298, -1.95536, -3.15858], [-1.67337, 0.10181, -3.48536], [-0.72178, -2.48418, -3.05423], [1.23204, -1.95286, -2.32907], [-2.44379, -0.45985, -2.40322], [-2.03167, 1.09889, -3.75098], [-1.42253, -2.31426, -3.87879], [-3.21327, 0.25013, -2.06697], [-1.44050, -2.75348, -1.76510], [-0.95539, -2.41060, -0.85525], [-1.68167, -3.84371, -1.64190], [0.60780, -0.92881, -4.23260], [1.10146, -1.39416, -5.09527], [1.23917, -0.09793, -3.92870], [-0.80702, -0.38617, -4.61290], [-1.33790, -1.03394, -5.31302], [-0.60934, 0.49455, -5.23158], [-2.74454, -1.89495, -2.01194], [-3.33794, -2.39426, -2.80864], [-3.37216, -1.81334, -1.09202], [-0.83591, 0.23810, -1.75243], [0.06104, -3.20855, -3.50859], [0.45195, 1.98611, 1.30277], [-0.74255, 1.26405, 0.98641], [-1.60679, 1.08619, 2.11352], [-1.46474, 1.91655, -0.13730], [-0.37002, -0.10819, 0.41680]], "lowdin_charge": [-0.22, -0.30, -0.29, 0.13, -0.31, 0.10, 0.12, 0.12, -0.15, 0.09, 0.13, -0.19, 0.11, 0.11, -0.21, 0.12, 0.11, -0.17, 0.13, 0.12, 1.04, 0.17, -0.30, 0.72, -0.29, -0.41, -0.46]}

***

{"formula": "C2H4IN", "method": "the ωB97M-V functional and the def2-TZVPD basis", "orbital_gap_ev": 7.12, "homo_ev": -8.32, "relative_energy_kj_mol": 140.5, "e_tot_ev": -11727.5531, "spin_multiplicity": 1, "symbols": ["C", "C", "N", "I", "H", "H", "H", "H"], "positions_angstrom": [[0.65133, 0.02313, 0.56883], [-0.56011, -0.09902, -0.22226], [1.81999, 0.28002, 0.53494], [-0.24399, -1.33550, 3.09845], [-0.40889, -0.69585, -1.09860], [-0.93969, 0.74788, -0.74154], [-1.23053, -0.74178, 0.42693], [2.52665, -0.11217, 1.10387]], "nbo_charge": [0.63, -0.80, -0.56, -0.58, 0.27, 0.28, 0.31, 0.44]}

***

Christians are God’s soldier along with Saint Angels. Beginning the creation of the world, Mankind was intended to live for the Glory of God in worship severing his Lord. The work of God being all in intent, His will in the creation of man is as similar as Saint Angles.

Feasts of Saint Virgin Mary

The assumption of the body of our pure, holy, and honorable Holy Virgin Mary, the God-bearer, who is indeed the Lady of all the women of this world, took place on January 29.